Sennacherib Threatens Jerusalem
1. As it happened, during Salt Lake’s long-awaited (hoped-for; anticipated) opportunity for its leadership, to accumulate filthy riches (lucre; blood-money) and personal wealth, the supreme (ultimate) rule of Hezekiah (Jehovah’s embrace) of all the fortified cities (settlements communities) of Judah were attacked by Sennacherib “(“Get rid of your enemies by literally sweeping them away”) then they were taken captive. (as Prisoners of War)
Sennacherib (“Sweep-away your enemies once and for all”) reigns supreme among those who love (support; need; are devoted to; worship; adore; idolize) Assyria. (“guaranteed social popularity and financial security thru unwavering loyalty to the Melchizedek Priesthood Organization”).
2. Next, the king (ruler that reigns supreme in the minds) of Assyria’s people sent his field commanders (head honchoes; bishops; presiding priesthood leaders) followed by a large invading army (host; multitude) of High Priests who are well-versed in Lachish (“magical arts”; sorcery; casting-spells) to attack Jerusalem (“instructor in Peace and Salvation”)
When the Sennacherib’s field-commanders (Bishops; local and regional-priesthood authorities) stopped (stood-still; hung-around- tarried) at the channel (direction; ministry; rout; approach; means; conduit; waterway) coming from the “Upper” (superior; higher; best; aristocratic) “Pool” (blessing; watering holes; gathering places).
The Upper Pool (“Aristocratic Watering hole”) is “on the way to” (bound for; in passage to; on the road to headed for) the “Fulling * Field” (field of the “Fullers”; work of those who enmesh together and puff-up men)
* fulling– process of cleansing, shrinking, and thickening Israel’s clothing (wool; sheep’s clothing; fleeces) by moisture, heat, and pressure. .fulling cloth by means of walkers and stampers, which alternately fall into and rise from troughs where the cloth is placed with hot water and fuller’s earth, or other cleansing materials such as human urine .
So, as of today, Hezekiah (“Jehovah’s embrace”), which has been Judah’s time-honored (tried and true; traditional; official; accepted) goal (objective) has been supplanted (superseded; overrun) by the strategy of Sennacherib (“Sweeping everyone away with a broom, as a means to get rid of enemies”) throughout all the congregations (settlements; congregations) who support (adopt; welcome ; love) Judah (“praise and thanksgiving unto Jehovah”).
Salt Lake wants to make absolutely sure that Judah (Praise and Thanksgiving”) is useless except to point (direct everyone’s attention) to Salt Lake’s so-called (much ballyhooed; self-styled; alleged; presumed; self-appointed) “Gathering-of-Israel” which is just a means (“modus-operandi”; method; technique; process; procedure) by which Salt Lake steals (gradually siphons-off; draws-off; chips-away-at; take; severs; cuts-into; accesses) Israel’s authority (jurisdiction; dominion) like siphoning the gas out of an old lay’s car, then kidnapping (abducting; seizing) her as their captive (convict; slave; hostage; prisoner; bond-sevant).
.2. Then the king (supreme-rule) of Assyria (“the notion of guaranteed social popularity and financial security thru unwavering allegiance to the Melchizedek Priesthood Organization”) dispatched (sent) his chief field commanders * (Stake Presidents; Bishops; Local presiding Melchizedek priesthood authorities) with a virtual army of Mormon members from Lachish (“leaders who are hard to catch”; “leadership that is obstinate”), having in mind, his chief field commanders (Bishops; Stake Presidents; presiding Melchizedek priesthood authorities) functioning as (pretending to be; acting as if they are; operating as if they are; working as if they are; performing as if they are ) Chief-Butlers **(cup-bearer; drink-furnisher; chief advisors; chief ministers) to the King (supreme rule; conventional-wisdom) of Hezekiah (“a close-bond with Jehovah”).
*chief field commander– Mormon Bishop – The bishop holds the primary responsibility for everything in the ward, (congregation) both spiritually and temporally. Although he can delegate specific assignments to his counselors, the ultimate responsibility falls to him. His duties include presiding over and conducting meetings and worship services; serving as president of the ward’s quorum of priests; acting as a “judge in Israel” or “common judge”; providing temporary financial relief for members of their ward; serving as the presiding high-priests of the ward; and organizing and managing the ward’s auxiliary organizations. After being called, a bishop is ordained a high priest (if he does not already hold that priesthood office) and then ordained and set-apart (consecrated) as the bishop and presiding high priest of the specific ward. He is also given the priesthood “keys” (a confusing term which is tossed around all the time like a coveted golden egg, meaning “authorization”) allowing him to represent God in performing his duties. The ordinations, setting apart, and the conferral tossed around by priesthood authorities) of keys is performed by the laying on of hands by the Stake President (presiding authority over several Mormon congregations. After a bishop is released from his responsibilities over the ward, he retains the priesthood office of bishop for life.
** Chief-Butler- cup-bearer was an officer of high rank in royal courts whose duty it was to serve the drinks (wine; intoxicating beverages) at the royal table. On account of
the constant fear of plots and intrigues, a person must be regarded as thoroughly trustworthy to hold the position. He must guard against poison in the king’s cup and was sometimes required to swallow some of the wine before serving it. His confidential relations with the king often gave him a position of great influence. The position of cup-bearer is greatly valued and given only to a select few throughout history qualifications for the job were not held lightly but of high esteem valued for their beauty and even more for their modesty, industriousness and courage.
The cup-bearer as an honorific role limited to certain .
lineages (families; dynasties; bloodlines) belonging to the royal-household is sometimes divided into departments with the butler in charge of the dining-room, wine cellar, and pantry. Some also have charge of the entire parlor floor and housekeepers caring for the entire house and its appearance. A butler is usually male, and in charge of male servants, while a housekeeper is usually a woman and in charge of female servants. Traditionally, male servants (such as footmen) were better paid and of higher status than female servants. The butler, as the senior male servant, has the highest servant status. He can also be sometimes used as a chauffeur. In older houses (families; lineages; dynasties) where the butler is the most senior worker, titles such as “Majordomo or “Chief of Staff” are sometimes bestowed. The precise duties of the employee will vary to some extent in line with the title given, but perhaps, more importantly in line with the requirements of the individual employer. In the grandest homes or when the employer owns more than one residence, there is sometimes an estate manager of higher rank than the butler.
3. Eliakim (“One who is personally developed and groomed by God”) who happens to be the son (lawful; legitimate heir; scion) of Hilkiah (“An inheritance of “Love for God”). Hilkiah (an inheritance of a “Love for God”) has long been the palace’s (royal-residence’s) administrator (manager; CEO; governor) of Shebna (growth; development), as well as its secretary (record-keeper; clerk; bookkeeper) working along side Joah (“God is like a brother and friend to me”) who, was raised under the tutelage (training; discipline) of Asaph (assembling people and things; rounding people and things up; gathering-people and things). They quickly did everything they could to welcome (please; obey; comply with) the field-commanders (Bishops; Presiding-Authorities) of Sennacherib (“One who gets rid of all his enemires by sweeping everyone away with a broom”)
4. The Field Commanders (Bishops; presiding priesthood officers of Salt Lake Headquarters) said to Hezekiah, “Thus saith the great King (supreme ruler of) Assyria ( (“Guaranteed social and financial success thu unwavering loyalty to Salt Lake’s Melchizedek priesthood Organization”)
Upon what grounds (in whose name; legal-argument) is this confidence (tenacity; certainty; assurance) of yours based?
=====
Structure and computed XRD peak list of Rb2AlCoF6 (a PBE+U-relaxed structure; λ = 1.5418 Å (Cu Kα)).

Structure:
Unit cell a=5.910 b=5.910 c=8.310 alpha=90.00 beta=90.00 gamma=90.00
Space group I4/mmm (No. 139)
Symmetry-distinct sites (fractional):
Rb 0.000 0.500 0.250 x4
Al 0.000 0.000 0.000 x2
Co 0.000 0.000 0.500 x2
F 0.000 0.000 0.223 x4
F 0.221 0.221 0.000 x8

Most intense lines, 2θ from 10° to 80°, by intensity:
30.30 deg, intensity 100, (2 0 0); 43.30 deg, intensity 32, (2 2 0); 37.34 deg, intensity 27, (2 0 2); 53.78 deg, intensity 24, (3 1 2); 63.10 deg, intensity 18, (2 2 4); 43.56 deg, intensity 16, (0 0 4); 71.40 deg, intensity 13, (4 2 0); 53.95 deg, intensity 12, (2 0 4); 62.90 deg, intensity 9, (4 0 0); 79.62 deg, intensity 8, (4 0 4)

----------

1.
Starting from a crystal structure in OQMD, relaxed with GGA-PBE, the X-ray powder pattern of YHo2Cd5 was computed for Cu Kα X-rays.
Peak positions follow from Bragg's law for the DFT cell and can differ from measured ones.

Top 8 peaks for 10° ≤ 2θ ≤ 90°, low angle first:
hkl 0 0 4, 2θ = 34.44°, intensity 23; hkl 1 2 2, 2θ = 34.66°, intensity 100; hkl 2 0 0, 2θ = 35.17°, intensity 26; hkl 0 4 0, 2θ = 49.62°, intensity 9; hkl 2 0 4, 2θ = 50.05°, intensity 15; hkl 0 4 4, 2θ = 61.82°, intensity 20; hkl 3 2 2, 2θ = 62.78°, intensity 17; hkl 2 4 4, 2θ = 73.14°, intensity 9

Atomic structure:
abc: 5.103 7.349 10.417
angles: 90.00 90.00 90.00
Space group Amm2 (No. 38)
One atom of each set of equivalent atoms:
Y 0.000 0.000 0.000 [2 per cell]
Ho 0.000 0.000 0.544 [2 per cell]
Ho 0.500 0.000 0.248 [2 per cell]
Cd 0.000 0.231 0.275 [4 per cell]
Cd 0.500 0.000 0.760 [2 per cell]
Cd 0.500 0.241 0.499 [4 per cell]



2.
Starting from a crystal structure in OQMD, relaxed with GGA-PBE, the X-ray powder pattern of CdI3 was computed for Cu Kα X-rays.
Peak positions follow from Bragg's law for the DFT cell and can differ from measured ones.

Top 8 peaks for 10° ≤ 2θ ≤ 90°, low angle first:
hkl 1 1 -1, 2θ = 15.88°, intensity 25; hkl 1 1 -2, 2θ = 21.98°, intensity 100; hkl 3 1 -1, 2θ = 23.67°, intensity 38; hkl 3 1 0, 2θ = 26.85°, intensity 35; hkl 2 2 1, 2θ = 35.32°, intensity 22; hkl 2 0 -4, 2θ = 35.42°, intensity 21; hkl 4 2 -3, 2θ = 40.11°, intensity 18; hkl 2 2 2, 2θ = 42.10°, intensity 22

Atomic structure:
abc: 13.721 6.712 10.349
angles: 90.00 123.33 90.00
Space group C2 (No. 5)
One atom of each set of equivalent atoms:
Cd 0.188 0.000 0.081 [4 per cell]
I 0.000 0.726 0.500 [2 per cell]
I 0.000 0.739 0.000 [2 per cell]
I 0.115 0.254 0.825 [4 per cell]
I 0.245 0.228 0.346 [4 per cell]



3.
Starting from a crystal structure in OQMD, relaxed with GGA-PBE, the X-ray powder pattern of CdI2 was computed for Cu Kα X-rays.
Peak positions follow from Bragg's law for the DFT cell and can differ from measured ones.

Top 8 peaks for 10° ≤ 2θ ≤ 90°, low angle first:
=====
5. You (Israel’s people) claim to have a strategy and that you possess military strength, but your words seem empty (hollow; vain; worthless) to us.
Upon whom are you depending that you dare to rebell against Me (Sennacherib; “One who gets rid of all his enemires by sweeping all of them away”).
6. Look here (listen to us; you Israelite dolts (dummies; idoits; clowns). You are depending on Egypt (“a culture made possible by servitude and slavery”). Mormon culture of servitude and bondage is like a staff (symbol of authority) made of splintered (fragmented) reeds (men who are weak and impressionable) that pierce (impale) a man’s hand (power) and injures it if he leans upon the splintered-reeds (men who are weak and impressionable).

7. If you (Israel’s people) say to Me (Sennacherib) “We are depending upon The Lord, (Jehovah)!”
Isn’t He (Jehovah) the one whose “High-Places’ (revenue rich tourist attractions; flashy-religious-complexes) and altars (sacrificial places and circumstances) Hezekiah ordered (commanded) to be removed, then said unto Judah, (“Praise and thanksgiving”) and unto Jerusalem (“the teacher of Peace and Salvation”) , “You must always worship at the altars dedicated to Judah (“Praise and Thankgiving”) and Jerusalem (“The teacher of Peace and Salvation”).
8. “Come-now (be reasonable; don’t be afraid)!
(Unrelated to this piece: data records)
- - -
[1]
This entry pairs a crystal structure of Rb2Ag2GeI6 with its theoretical powder diffractogram. Radiation: Cu Kα X-rays. Structure: a GGA-PBE-relaxed structure.

Top 10 peaks for 2θ = 5–70°, in order of rising 2θ:
2θ (°)	I_rel	h k l
14.66	52	1 1 -1
20.56	37	3 1 -1
24.05	100	1 1 -2
24.35	41	2 2 -1
24.49	62	0 0 2
24.86	80	2 2 0
29.56	88	2 2 -2
31.63	40	4 2 -1
41.73	88	4 2 1
41.95	46	0 4 0

Structure:
```
data_Rb2Ag2GeI6
_chemical_formula_sum 'Rb4 Ag4 Ge2 I12'
_cell_length_a 15.0601
_cell_length_b 8.6147
_cell_length_c 8.4941
_cell_angle_alpha 90.00
_cell_angle_beta 121.13
_cell_angle_gamma 90.00
_symmetry_space_group_name_H-M 'C 1 2/m 1'
_symmetry_Int_Tables_number 12
_symmetry_space_group_name_Hall '-C 2y'
loop_
_atom_site_label
_atom_site_fract_x
_atom_site_fract_y
_atom_site_fract_z
Rb1 0.2415 0.0000 0.2059
Ag1 0.0579 0.5000 0.2079
Ge1 0.0000 0.0000 0.5000
I1 0.0543 0.2401 0.7986
I2 0.2277 0.0000 0.6252
```



[2]
This entry pairs a crystal structure of Tl2Ag2GeI6 with its theoretical powder diffractogram. Radiation: Cu Kα X-rays. Structure: a GGA-PBE-relaxed structure.

Top 10 peaks for 2θ = 5–70°, in order of rising 2θ:
2θ (°)	I_rel	h k l
20.73	62	3 1 -1
24.91	98	1 1 -2
25.12	100	2 2 0
25.31	36	3 1 -2
25.46	39	0 0 2
30.26	68	2 2 -2
31.41	35	2 2 1
31.90	42	4 2 -1
35.13	37	4 2 0
42.42	98	0 4 0

Structure:
```
data_Tl2Ag2GeI6
_chemical_formula_sum 'Tl4 Ag4 Ge2 I12'
_cell_length_a 14.9463
_cell_length_b 8.5273
_cell_length_c 8.1966
_cell_angle_alpha 90.00
_cell_angle_beta 121.38
_cell_angle_gamma 90.00
_symmetry_space_group_name_H-M 'C 1 2/m 1'
_symmetry_Int_Tables_number 12
_symmetry_space_group_name_Hall '-C 2y'
loop_
_atom_site_label
_atom_site_fract_x
_atom_site_fract_y
_atom_site_fract_z
Tl1 0.2455 0.0000 0.1882
Ag1 0.0614 0.5000 0.2135
Ge1 0.0000 0.0000 0.5000
I1 0.0644 0.2453 0.8102
I2 0.2223 0.0000 0.5890
```



[3]
This entry pairs a crystal structure of InAg2Ge with its theoretical powder diffractogram. Radiation: Cu Kα X-rays. Structure: a GGA-PBE-relaxed structure.

Top 10 peaks for 2θ = 5–70°, in order of rising 2θ:
2θ (°)	I_rel	h k l
29.31	5	1 0 1
36.99	100	1 0 2
37.55	49	1 1 0
38.71	2	0 0 3
52.45	8	0 0 4
54.16	16	2 0 0
55.03	3	1 1 3
66.28	15	1 1 4
67.40	32	2 1 2
68.54	1	2 0 3

Structure:
```
data_InAg2Ge
_chemical_formula_sum 'In1 Ag2 Ge1'
_cell_length_a 3.3870
_cell_length_b 3.3870
_cell_length_c 6.9787
_cell_angle_alpha 90.00
_cell_angle_beta 90.00
_cell_angle_gamma 90.00
_symmetry_space_group_name_H-M 'P 4/m m m'
_symmetry_Int_Tables_number 123
_symmetry_space_group_name_Hall '-P 4 2'
loop_
_atom_site_label
_atom_site_fract_x
_atom_site_fract_y
_atom_site_fract_z
In1 0.0000 0.0000 0.0000
Ag1 0.5000 0.5000 0.2692
Ge1 0.0000 0.0000 0.5000
```



[4]
This entry pairs a crystal structure of InAgGe with its theoretical powder diffractogram. Radiation: Cu Kα X-rays. Structure: a GGA-PBE-relaxed structure.

Top 10 peaks for 2θ = 5–70°, in order of rising 2θ:
2θ (°)	I_rel	h k l
31.91	100	1 0 1
32.08	77	1 0 -2
34.90	32	0 2 0
- - -
Enter into a bargain (covenant; pact; binding agreement contract) with Salt Lake’s “Lord and Master”, Sennacherib (“One who gets rid of all of his enemies by totally sweeping them away”) which happens to be the “Mantra” (hymn; motto; slogan; watchword) of Assyria (“Guaranteed social and financial success by pledging-allegiance to Salt Lake’s Melchizedek Priesthood Organization”). Then, they said, “We will give you two-thousand horses (symbols of royalty; dancing and prancing performers) though its not very likely that you have among you, a single-qualified-rider.
9. “How then, can you ever hope to repulse (drive-back by force; “fight-off”; drive-away) even the weakest (least) of Salt lake’s officers, if you are totally dependent upon Egypt (“a culture of servitude and bondage) for chariots (assault-teams; armored-tanks; assault-equipment)?”
10. Furthermore, do you really believe (think; suppose) that have I (Jehovah) come all this way to carelessly attack others and thoughtlessly destroy churches without so much as mentioning the fact that the Lord of this (our) land (society; generation of Israelites) has called (appointed; knighted; commissioned) our generation to warn “The-Gentiles” (non-Israelites; The-Nations) of the world about the dangers of “The Mormon Church” (The Church of Jesus Christ of Latter-Day-Saints; “The Corporation Of The President Of The church of Jesus Christ Of Latter-Day-Saints”) which is headquartered in Salt Lake City, Utah. We are instructed to march (walk with determination) against “The Mormon Church”. (“The Corporation of the President of the Church of Jesusu Christ of Latter-Day-Saints”).
11. Then, Eliakim (One who has been reared by Jehovah) hand in hand with Shebna (growth) and Joah (“Jehovah is “my-brother”, i.e. “Jehovah is my protector”) said to Salt Lake’s Field-Commanders (Salt Lake’s Bishops and presiding priesthood Authorities).
“Please speak to your servants (“the Bishops and presiding priesthood authorities”). Tell them in Aramaic (Salt Lake double-speak; deliberately euphemistic, ambiguous, or obscure language; Salt Lake “double-talk”) because it is the only language that they can understand.
Don’t dare speak to us in Hebrew (the language of ancient Israel). We Don’t understand Hebrew and we (captive Israelites) are embarrassed (hesitating; ashamed) to acknowledge your (Israel’s people’s) cause (ground of legal action; matter over which Israel’s people go to law) in front (in the presence) of all the menacing (threatening; imposing) photographs of Salt Lake General Authorities hanging on the wall so that Mormons are constantly reminded that they are always subject to Salt Lake’s watchful-gaze.
12. But the Field-Commanders (Bishops; Salt Lake’s presiding Priesthood Authorities) replied, “Was it only to your Master and to you, but not to the men pictured on the Bishop’s wall?” that our Master (Sennacherib) sent us to say these things?”.
The ridiculous men portrayed on the wall of the bishop’s office, have managed to survive “only” because they’ve swallowed (taken-in; bought-into) their colleague’s (each-other’s) filth (“doo-doo”; “bullshit”; stupid or untrue talks or writings; nonsense) and they drink (chug-a-lugged; consume) their own bottled stream (continuous flow) of urine (“piss”; pee-pee; “golden-liquid”; waste-matter; discharge; excrement).
13. Then, something really wierd happened. The Field Commanders (Bishops; Presiding aaaaaaaPriesthood Athorities the stood there (at-attention) and “called-out” (made fun of; mocked; lampooned; mimicked; derided; insulted; ridiculed; shouted to) to Israel’s people in Hebrew (“Yes…you heard me….”broken-Hebrew”; of all things), “Hear the words of Salt Lake’s great monarchs…..even Salt Lake’s kings (crowned-heads) who rule over Assyria!” (“Guaranteed social and financial success thru unwavering allegiance to Salt Lake’s Melchizedek Priesthood Organization”).
[Here the entry breaks off for data records]
____________
This entry pairs a crystal structure of In5Ga4 with its theoretical powder X-ray diffraction pattern. Radiation: Cu Kα X-rays. Structure: the GGA-PBE geometry in Alexandria.

Structure:
```
In5Ga4
1.0
5.6099 -2.2226 0.0000
5.6099 2.2226 0.0000
-4.4175 0.0000 8.6943
In Ga
5 4
direct
0.0000 0.0000 0.0000 In
0.1169 0.1169 0.4066 In
0.2468 0.2468 0.8465 In
0.7532 0.7532 0.1535 In
0.8831 0.8831 0.5934 In
0.3710 0.3710 0.3845 Ga
0.4688 0.4688 0.1782 Ga
0.5312 0.5312 0.8218 Ga
0.6290 0.6290 0.6155 Ga
```

Top 6 peaks for 10 to 90 degrees two-theta, sorted by position:
| 2θ/deg | I_rel |
| --- | --- |
| 31.31 | 58 |
| 32.45 | 36 |
| 32.83 | 100 |
| 34.55 | 27 |
| 36.60 | 49 |
| 40.59 | 40 |
____________
14. This is what Salt Lake’s Kings (crown-heads; royalty) are saying to you, “Don’t let Hezekiah fool (trick; bambozzle; deceive) you (Israel’s people) into believing that he can deliver you!
15. Don’t let him (Hezekiah) persuade you to trust (place your confidence) in “The-Lord” (Jehovah). He (Hezekiah; “One who Jehovah embraces”) declares, “The Lord will surely (without any doubt; absolutely) deliver Salt Lake City. This capital will never be given into the hand (possession) of Assyrian Kings. Don’t listen (pay-attention) to Hezekiah (“One who is embraced by Jehovah”). This is what the Kings (crowned-heads) of Assyria are saying……
16. “Make-peace-with (appease; placate; pacify) us (Salt Lake’s presiding Authorities) or, better yet, come out to (join) us.
Then, just like us (Salt Lake’s people) , every one of you (Israel’s people) will eat-from (devour; consume; feed-on) his/her own vine (lineage; bloodline; family) and his/her own “Fig tree”. *
……then every one of you will drink (partake of; employ; practice) water (Sorcery; Black Magic) from his own cistern (underground reservoir), until Jehovah comes-back (returns) and takes you to a land (society) that looks (appears to be) a lot like your own. He’ll show you a land filled with grain (cereal) and your “new-vine” (‘new lineage’; “new bloodline’; “new-family”) ….and a land (society; realm) filled with bread (solid-food; sustenance; substantial-doctrine; daily food; “Manna”) and vineyards (“gardens-of-grapevines”).
17. …….until Jehovah comes-back (returns) and takes you to a land (society) that looks (appears to be) a lot like your own. He’ll show you a land filled with grain (cereal) and your “new-vine” (‘new lineage’; “new bloodline’; “new-family”) ….and a land (society; realm) filled with bread (solid-food; sustenance; substantial-doctrine; daily food; “Manna from Heaven” *) and vineyards (“gardens-of-grapevines”).
* Manna from Heaven –Manna (Hebrew מָן man, Greek μάννα; Arabic: اَلْمَنُّ), sometimes or archaically spelled mana is, according to the Bible, an edible substance which God provided for the Israelites during their travels in the desert during the 40-year period following The Exodus and prior to the conquest of Canaan. It is also mentioned in the Quran three times.
18. Don’t let Hezekiah (“One who is embraced by God”) mislead (hoodwink) you (Israel’s people) when he says, “The Lord will deliver us!” Has the God of any other nation ever delivered His land (society) from the hand (might; power) of Assyria?”
19. Where is the God of Hamath (those who hide behind a protective wall) and where is the God of Arphad (those who seek to “Live An Easy-life”). Where is the god of Salt Lake’s Seraphim (“firey-flying-serpents”; poisonous-serpents)? Have any of them ever rescued Samaria (“the guardianship of Israel’s people”) from my (Sennacherib’s) hand (power)?”
20. Who among all the gods of the aforementioned countries is able to to save his own land from Me (Sennacherib). So,……just how do you suppose the Lord will deliver (rescue; redeem; save; free) Jerusalem (“the teacher of Peace and salvation”) from my (Sennacherib’s) Hand (power) .
21. But the people remain silent and say nothing in reply because Sennacherib commands them, “You don’t have to answer that question!”
22. Then, Eliakim (“One who’se been raise-up by God”) who is a son (lawful heir; disciple) of Hilkiah (“God’s-Portion”; “a portion of God”). Hilkiah (“One who’se portion is the God’s-Spirit”; “One who’se character is like the Spirit of God”) is Jehovah’s administrator (overseer; manager; commander).’
Shebna (tender-youth; young-adults; teenagers ) are Jehovah’s secretaries * (clerks; bookkeepers; record-keepers).
* Secretary.- A secretary, administrative professional, or personal-assistant is a person whose work consists of supporting management, including executives, using a variety of project management communication, and organizational skills. However this role should not be confused with the role of an executive secretary, who differs from a personal assistant. In many countries, an executive secretary is a high-ranking position in the administrative hierarchy. In fact in Pakistan, federal secretaries are dubbed as the most influential people in the country. The functions of a personal assistant may be entirely carried out to assist one other employee or may be for the benefit of more than one. In other situations a secretary is an officer of a society or organization who deals with correspondence, admits new members, and organizes official meetings and events.
End Of Chapter Thirty-Six.